Excerpt
____________
The following is a GGA-PBEsol calculation of a relaxed In2AgAu crystal, from Alexandria via LeMat-Bulk.

Calculated values
Total DFT energy (no corrections): -13.72 eV per cell
Symmetry: No. 6
Formation enthalpy at 0 K: -0.1310 eV per atom

a = 3.4734 Å, b = 4.3724 Å, c = 5.5601 Å
α = 90.00°, β = 106.96°, γ = 90.00°
Fractional positions:
In 0.0000 0.0000 0.0000
In 0.2951 0.5000 0.6072
Ag 0.5613 0.5000 0.1354
Au 0.7340 0.0000 0.4706

---

The following is a GGA-PBEsol calculation of a relaxed In2AgAu crystal, from Alexandria via LeMat-Bulk.

Calculated values
Total DFT energy (no corrections): -13.45 eV per cell
Symmetry: No. 47
Formation enthalpy at 0 K: -0.0616 eV per atom

a = 3.6331 Å, b = 3.7738 Å, c = 5.7925 Å
α = 90.00°, β = 90.00°, γ = 90.00°
Fractional positions:
In 0.0000 0.0000 0.2479
In 0.0000 0.0000 0.7521
Ag 0.5000 0.5000 0.5000
Au 0.5000 0.5000 0.0000
____________

Activity
What is needed: type out all of the material further above with every line break kept.

Here it is
The following is a GGA-PBEsol calculation of a relaxed In2AgAu crystal, from Alexandria via LeMat-Bulk.

Calculated values
Total DFT energy (no corrections): -13.72 eV per cell
Symmetry: No. 6
Formation enthalpy at 0 K: -0.1310 eV per atom

a = 3.4734 Å, b = 4.3724 Å, c = 5.5601 Å
α = 90.00°, β = 106.96°, γ = 90.00°
Fractional positions:
In 0.0000 0.0000 0.0000
In 0.2951 0.5000 0.6072
Ag 0.5613 0.5000 0.1354
Au 0.7340 0.0000 0.4706

---

The following is a GGA-PBEsol calculation of a relaxed In2AgAu crystal, from Alexandria via LeMat-Bulk.

Calculated values
Total DFT energy (no corrections): -13.45 eV per cell
Symmetry: No. 47
Formation enthalpy at 0 K: -0.0616 eV per atom

a = 3.6331 Å, b = 3.7738 Å, c = 5.7925 Å
α = 90.00°, β = 90.00°, γ = 90.00°
Fractional positions:
In 0.0000 0.0000 0.2479
In 0.0000 0.0000 0.7521
Ag 0.5000 0.5000 0.5000
Au 0.5000 0.5000 0.0000